Against heavy odds, Trump rises 6 points in two weeks, according to Gallup poll By Monica Showalter

His face showing the strains of office, President Trump has obviously been on the job in the coronavirus pandemic.

Apparently the voters have noticed, and Fox News reports that Trump is rising with voters:

President Trump’s job approval soared 6 points in the last two weeks, according to the latest Gallup poll.

The new survey found 49 percent approve of the president’s job in office and 47 percent disapprove, a personal best with Gallup for Trump. Two weeks ago, 43 percent approved of the president’s job, according to the pollster.

Trump also had a 49 percent approval rating in mid-March, according to Gallup, before his rating took a 6-point plunge in the first half of April.

For us, that’s reason for ‘cautious optimism’ as the market guys like to say. Or better still ‘the trend is your friend.’

It comes against so many external negatives that would otherwise sink any other politician.

Trump Approval Rating Hits All-Time High in New Gallup Poll By Zachary Evans

President Trump’s approval rating hit an all-time high in a Gallup survey released on Friday, with 49 percent of respondents approving of his performance versus 47 percent disapproving.

-- Unrelated to this piece: quantum chemistry results --
Here is one molecule with the formula C3H3OP in a non-equilibrium geometry from the Open Molecules 2025 dataset. Energies are from the ωB97M-V functional and the def2-TZVPD basis.

* electronic energy: -532.50091 Ha
* spin multiplicity: 3
* ⟨S²⟩: 2.0802
* net charge: 0

Cartesian coordinates (Å):
C 1.3195 -0.3660 0.1183
C 0.6152 -1.1412 0.9223
C 0.7474 0.3527 -1.0385
O -1.5884 0.7529 0.0486
P -0.7399 1.0143 -1.3576
H 2.3344 -0.0790 0.3702
H -0.2600 -1.7509 0.8679
H -2.4281 1.2170 0.0688

Here is one molecule with the formula C3H3P in a non-equilibrium geometry from the Open Molecules 2025 dataset. Energies are from the ωB97M-V functional and the def2-TZVPD basis.

* electronic energy: -457.21179 Ha
* spin multiplicity: 1
* net charge: 0

Cartesian coordinates (Å):
C 0.4963 1.5903 0.2414
C 0.7754 -0.0554 0.1989
C 0.3286 -0.9603 -0.6276
P -1.2148 -0.0113 -0.6430
H 0.5866 1.8020 1.3237
H 0.7038 -1.9142 -1.0259
H -1.6757 -0.4510 0.5325

Here is a 16-piece molecular cluster, C3H40N2O15 overall in a non-equilibrium geometry from the Open Molecules 2025 dataset. Energies are from the ωB97M-V functional and the def2-TZVPD basis.

* electronic energy: -1376.25547 Ha
* spin multiplicity: 1
* net charge: 0

Cartesian coordinates (Å):
C -0.5576 0.9518 -0.8440
C 0.2412 0.3535 0.3688
N -0.0969 -1.1178 0.3046
C 0.5443 -1.8118 1.4223
N 1.6669 -2.6869 1.0487
H -0.1493 1.8878 -1.0092
H -1.6730 1.2148 -0.7971
H -0.5055 0.3536 -1.6807
H 1.2903 0.5035 0.3247
H -0.1750 0.7443 1.3730
H 0.0664 -1.6121 -0.5808
H -0.3497 -2.2910 1.9500
H 0.7799 -0.9126 2.1264
H 1.5033 -3.6552 0.6473
H 2.4738 -2.2744 0.6816
H -2.1683 0.0932 2.9605
H -2.3522 -0.1026 1.5140
O -2.6642 0.3868 2.2428
H 4.0988 2.2487 1.5399
H 2.4543 2.5595 1.9394
O 3.1191 2.3851 1.1899
H -1.2788 -3.5961 0.3052
H -2.4958 -4.1685 -0.3982
O -1.6873 -3.8096 -0.6174
H -0.3292 4.7034 0.4239
H 0.9903 5.1399 0.3031
O 0.2621 5.2302 0.9474
H 2.0726 2.9676 -0.2284
H 2.3382 3.6262 -1.5041
O 1.7925 3.6602 -0.7593
H -0.3075 -1.3844 -2.6478
H -1.4934 -1.9954 -2.0928
O -1.2899 -1.3253 -2.7569
H -3.6331 -1.0388 -3.1717
H -3.2920 -2.0550 -1.9925
O -4.0524 -1.6793 -2.4611
H 4.4923 1.7601 -1.5335
H 4.2316 1.7478 -0.0154
O 4.4026 1.2269 -0.8044
H -2.3843 -0.3842 4.7645
H -1.1365 0.2714 4.8825
O -1.5104 -0.4355 4.4022
H 0.5105 -3.5533 -1.5154
H 0.3056 -3.0525 -2.9285
O 0.5099 -2.8208 -2.0526
H -2.6373 -2.3481 1.0128
H -4.0185 -2.0435 0.8350
O -3.4086 -2.7701 0.9565
H -4.2823 -0.1567 -0.5051
H -4.8363 -1.3142 -1.0864
O -4.8936 -0.8608 -0.2018
H 0.4972 4.2121 2.2903
H 0.4280 2.7333 2.8735
O 1.0097 3.5146 2.7944
H 2.5510 -1.2044 -1.6425
H 3.8662 -0.4658 -1.3184
O 3.5489 -1.2655 -1.7119
H 2.7764 1.4697 -2.5099
H 2.9754 2.2498 -4.0584
O 3.1667 2.1623 -3.0036

Here is C3H4AgFO2 as an isolated structure in a non-equilibrium geometry from the Open Molecules 2025 dataset. Energies are from the ωB97M-V functional and the def2-TZVPD basis.

* electronic energy: -513.53645 Ha
* spin multiplicity: 2
* ⟨S²⟩: 0.7739
* net charge: +1

The results continue a wide swing in polling for Trump, who garnered a 43 percent approval rating two weeks ago.

“Most of the variation in Trump’s recent job approval rating is among independents,” Gallup said. “In the current poll, 47% of independents approve of the job he is doing as president, the highest Gallup has measured for the group to date. 93% of Republicans and 8% of Democrats approve of the job Trump is doing.”


However, RealClearPolitics polling averages place the president at 44.3 percent approval versus 50.6 percent disapproval as of Friday. Averages of general election polls give Trump 42.1 percent to Joe Biden’s 47.4 percent.

Last week officials including Trump-campaign manager Brad Parscale, adviser Jared Kushner, and Republican National Committee chairwoman Ronna McDaniel presented the president with internal campaign polls showing him falling behind Biden in key swing states, the Washington Post reported. Advisers showed Trump the polls as part of an effort to convince him to stop or scale back his presence in the daily White House coronavirus briefings.

The FBI Set Flynn Up to Preserve the Trump–Russia Probe By Andrew C. McCarthy

Perjury trap was not score-settling. To investigate the president, it was a practical necessity to sideline his chosen national-security adviser.

Michael Flynn was not the objective. He was the obstacle.

Once you grasp that fundamental fact, it becomes easier to understand the latest disclosures the Justice Department made in the Flynn case on Thursday. They are the most important revelations to date about the FBI’s Trump–Russia investigation, code-named Crossfire Hurricane.

The new disclosures, in conjunction with all we have learned in the last week, answer the all-important why question: Why was Flynn set up?

The answer to the what question has been clear for a long time: The FBI set a perjury trap for Flynn, hoping to lure him into misstatements that the bureau could portray as lies. In the frenzied political climate of the time, that would have been enough to get him removed from his new position as national security adviser (NSA), perhaps even to prosecute him. On that score, the new disclosures, startling as they are to read, just elucidate what was already obvious.

But why did they do it? That has been the baffling question. Oh, there have been plenty of indications that the Obama administration could not abide Flynn. The White House and the intelligence agencies had their reasons, mostly vindictive. But while that may explain their gleefulness over his fall from grace, it has never been a satisfying explanation for the extraordinary measures the FBI took to orchestrate that fall.

Woodstock Occurred in the Middle of a Pandemic:Jeffrey A. Tucker
Thanks to Rachel Ehrenfeld

In my lifetime, there was another deadly flu epidemic in the United States. The flu spread from Hong Kong to the United States, arriving December 1968 and peaking a year later. It ultimately killed 100,000 people in the U.S., mostly over the age of 65, and one million worldwide. 

Lifespan in the US in those days was 70 whereas it is 78 today. Population was 200 million as compared with 328 million today. If it would be possible to extrapolate the death data based on population and demographics, we might be looking at a quarter million deaths today from this virus. So in terms of lethality, it was as deadly and scary as COVID-19 if not more so, though we shall have to wait to see. 

“In 1968,” says Nathaniel L. Moir in National Interest, “the H3N2 pandemic killed more individuals in the U.S. than the combined total number of American fatalities during both the Vietnam and Korean Wars.”

And this happened in the lifetimes of every American over 52 years of age. 

I was 5 years old and have no memory of this at all. My mother vaguely remembers being careful and washing surfaces, and encouraging her mom and dad to be careful. Otherwise, it’s mostly forgotten today. Why is that? 

Epstein had his own office, phone line at Harvard even after his 2008 conviction of soliciting sex from minors BY TAL AXELROD

Harvard University admitted Friday that Jeffrey Epstein had his own office and phone line at the university and also made several visits there even after he was convicted in 2008 of soliciting sex from minors. 

According to a new report from the university, Epstein, the disgraced financier who killed himself in jail last year while awaiting sex crimes charges, visited Harvard more than 40 times after his 2008 conviction and unveiled deep ties between him and the university, with which he had no official affiliation.  

University President Lawrence Bacow said in a letter to the Harvard community that Harvard accepted $9.1 million from Epstein between 1998 and 2008 to support research and faculty activities. He also said the university donated $200,937 in unspent contributions from Epstein to organizations supporting human trafficking and sexual assault victims. 

While the hallowed institution did not accept donations from Epstein after 2008, the financier was allowed to make 40 visits between 2010 and 2018 to Harvard’s Program for Evolutionary Dynamics, which Epstein helped create with a $6.5 million donation. He was also granted access to the program’s office and given his own office space.

Potential VP Picks Thirsty For Higher Office Overlook Biden Sexual Assault Allegations Joe Biden’s list of potential running mates are showcasing blatant “Me Too” hypocrisy as they seek to stay in good graces to remain in the consideration.By Tristan Justice


Democrats are descending into disarray as their presumptive presidential nominee battles allegations of sexual assault far more credible than anything ever thrown at Supreme Court Justice Brett Kavanaugh, whose unsubstantiated allegations prompted calls for the Justice’s nomination to be withdrawn and subsequent pleas for impeachment.

As Biden searches for a running mate amid the accusations, here’s what the same people who praised Ford’s testimony are saying about Reade so not to spoil their chances in the veepstakes:

Stacey Abrams

Abrams is taking a break from her imaginary duties as governor of Georgia to break from tradition by publicly campaigning for the number two spot.

After Biden finally addressed the allegations head on, Abrams came out with a lackluster statement paling in comparison to what she said about Ford.

“I am pleased that the Vice President directly addressed these allegations and by how he addressed them. Women and all people should be heard, and they deserve a safe space and process through which they can come forward,” Abrams said.

On Tuesday, Abrams offered a more passionate defense on CNN.

“I believe Joe Biden,” Abrams said. “I believe that he is a person who has demonstrated his love of family, of our community, has been made perfectly clear through his work as a congressional leader and as an American leader. I know Joe Biden and I think he’s telling the truth and this did not happen.”

That’s a sharp turnaround from when Abrams said “I believe women,” in 2018.

Kamala Harris

California Democratic Sen. Kamala Harris fared no better in the sweepstakes of Me Too hypocrisy to land a top spot on the Democratic ticket.

“I believe her,” Harris said of Ford’s allegations in 2018. “Anybody who comes forward at this point to be prepared to testify in the United States Senate against someone who’s being nominated to one of the most powerful positions in the United States government, that takes an extraordinary amount of courage.”

According to Harris, simply testifying before Congress should make any allegations inherently truthful, no matter the evidence. Let’s not forget that Harris used to be the attorney general of California.

Funeral Directors Blow the Whistle on Deaths Falsely Attributed to Coronavirus By Megan Fox

“Basically, every death certificate that comes across our desk now has COVID on it,” said a funeral director in Williston Park, N.Y., on a recorded phone call with Project Veritas in a newly-released video. James O’Keefe has been asking for people inside the medical system to blow the whistle if they see corruption or inconsistencies in reports about the Chinese WuFlu known as COVID-19. In conversations with several funeral directors across New York City, O’Keefe uncovered a shocking narrative where, without fail, every director he spoke to expressed his or her concern that coronavirus deaths are being inflated and every death in NYC is being recorded as a COVID death with or without testing to confirm.

“They are putting COVID on a lot of death certificates because people who are going to their hospital with any kind of respiratory distress, respiratory problems, pneumonia, the flu — the flu-like symptoms lead into the COVID-19,” said Joseph Antioco of Schafer Funeral Home. “To me, all you’re doing is padding the statistics. You’re putting people on that have COVID-19 even if they didn’t have it. You’re making the death rate for New York City a lot higher than it should be.”

One funeral director talked about a family who is related to an unnamed Supreme Court Justice who insisted on a private autopsy that discovered their relative did not have COVID-19. “I had one that was autopsied because the sister was famous, and apparently, and I don’t know who the Supreme Court Justice is, but the Supreme Court Justice was related to this family, and she says I know my sister didn’t die of COVID-19,” said Josephine Dimiceli of Dimiceli & Sons Funeral Home. “She said she had Alzheimer’s and they didn’t suction her. You have to suction because they forget how to swallow. And right away they put down COVID-19 on her death certificate, and the Supreme Court justice, whoever it is, contacted the hospital. They did an independent autopsy; bingo. No COVID-19.”

As World Economic Crisis Worsens, Societies Begin to Fall Apart By Rick Moran

The unprecedented world economic crisis will inevitably lead to social chaos and the breakdown of law and order and unknown consequences.

Lest you think this is an exaggeration, look at what’s happening in Lebanon.

Demonstrators in northern Lebanon have attacked banks and clashed with security forces for three consecutive nights, re-energizing a protest movement launched in October against a political class the activists deem inept and corrupt.

The government unanimously approved the economic plan after minor amendments, the presidency said on Twitter following a cabinet meeting in the presidential palace in Baabda.

Details were unclear but Prime Minister Hassan Diab was expected to reveal more during an address to the nation at 5:30 pm (1430 GMT).

President Michel Aoun called it a “historic day” for Lebanon.

Lebanon was in dire straits before the pandemic hit, with a serious economic crisis, rampant corruption, and political instability. But there are dozens of countries around the world where the same could be said of conditions prior to the coronavirus pandemic.

**These molecular data were left in the article by mistake:**
- - -
1.
Below is a gas-phase ion, C2H8ClN2O2 (charge +1) in a non-equilibrium geometry, with properties calculated with ωB97M-V/def2-TZVPD.

The geometry in XYZ format:
```
15
C2H8ClN2O2 (ωB97M-V/def2-TZVPD)
N -1.538 1.302 -0.237
C -0.940 0.468 0.760
C 0.551 0.053 0.020
N 0.593 -1.607 -0.066
O 0.531 0.397 -1.277
O 1.523 0.345 0.807
Cl 3.102 0.260 0.059
H -1.448 2.332 -0.275
H -2.372 0.837 -0.664
H -1.326 -0.513 0.858
H -0.465 0.957 1.668
H 1.562 -1.715 -0.295
H -0.007 -1.832 -0.747
H 0.533 -2.137 0.761
H -0.298 0.854 -1.372
```

Results
Total energy = -21791.7790 eV
Energy relative to the best compared isomer or geometry (same formula, charge and spin) = 89.37 kcal/mol
Total charge = +1
Frontier orbital gap = 9.6 eV

Atomic partial charges in e from the Löwdin method, atoms 1 to 2: N 0.009; C -0.069

2.
Below is a molecular structure, C20H38Br2InO7P2 in a non-equilibrium geometry, with properties calculated with ωB97M-V/def2-TZVPD.

The geometry in XYZ format:
```
70
C20H38Br2InO7P2 (ωB97M-V/def2-TZVPD)
In -0.520 0.747 -0.872
C 0.405 -1.398 0.875
C -0.792 -0.627 1.024
C -0.345 0.622 1.874
C 1.001 0.461 2.044
C 1.459 -0.772 1.476
C 2.901 -1.224 1.510
C 3.367 -1.307 2.969
C 3.746 -0.173 0.768
C 3.073 -2.581 0.833
C -1.160 1.672 2.635
C -2.033 2.564 1.748
C -2.035 0.987 3.700
C -0.203 2.608 3.386
C -2.156 -1.315 0.854
C -3.347 -0.392 0.610
C -2.106 -2.304 -0.318
C -2.392 -2.138 2.142
H 0.453 -2.345 0.364
H 1.639 1.140 2.587
H 3.288 -0.342 3.473
H 4.413 -1.620 3.004
H 2.775 -2.034 3.529
H 3.730 0.788 1.286
H 3.380 -0.026 -0.250
H 4.784 -0.508 0.715
H 2.499 -3.357 1.346
H 4.124 -2.874 0.855
H 2.750 -2.548 -0.209
H -2.638 2.011 1.037
H -1.397 3.257 1.198
H -2.708 3.154 2.373
H -2.889 0.460 3.282
H -2.426 1.751 4.376
H -1.449 0.283 4.294
H 0.483 3.116 2.704
H 0.379 2.077 4.140
H -0.791 3.371 3.899
H -3.246 0.148 -0.340
H -3.511 0.329 1.403
H -4.249 -1.001 0.535
H -1.810 -1.821 -1.250
H -3.105 -2.718 -0.466
H -1.432 -3.139 -0.132
H -2.441 -1.516 3.033
H -1.592 -2.867 2.277
H -3.338 -2.677 2.053
C 1.833 0.100 -5.070
C 0.656 -0.551 -4.350
O -0.024 -1.513 -5.161
P 1.183 -1.491 -2.874
O 2.553 -2.209 -3.186
O 0.181 -2.686 -2.726
O 1.244 -0.612 -1.670
P -0.505 0.708 -3.678
O -1.111 1.236 -5.051
O -1.522 0.012 -2.784
O 0.213 1.768 -2.882
H 2.492 -0.669 -5.471
H 2.391 0.754 -4.396
H 1.467 0.711 -5.895
H -0.516 -1.060 -5.859
H 3.335 -1.641 -3.167
H -0.150 -3.020 -3.576
H -1.445 2.143 -5.019
Br 0.384 4.044 -0.687
C -1.418 4.587 -1.090
Br -2.553 3.159 -1.716
H -1.364 5.324 -1.879
H -1.861 4.983 -0.188
```

Results
Total energy = -199525.7502 eV
Energy relative to the best compared isomer or geometry (same formula, charge and spin) = 3.97 kcal/mol
Total charge = +1
Frontier orbital gap = 7.0 eV

Atomic partial charges in e from the Löwdin method, atoms 1 to 2: In 0.980; C -0.068

3.
Below is C5H7N in the gas phase, with properties calculated with ωB97M-V/def2-TZVPD.

The geometry in XYZ format:
```
13
C5H7N (ωB97M-V/def2-TZVPD)
C 1.953 0.050 0.082
C 0.452 0.020 0.016
- - -
**Here the article continues:**

Since the recession/depression promises to deepen considerably, debtor nations will be holding out their hands for huge bailouts from the international community.

Germany Ends Its Relationship With Hezbollah Proving Money Matters Shoshana Bryen
The German government has pulled the plug on Hezbollah, labeling it a terrorist organization – its political “wing” as well as its military “wing” – and banning its activity on German soil; associated organizations will also be outlawed. What took so long? Surely there was no benefit to Germany in the relationship, except perhaps, to irritate Israel.

Or was there?

Some German politicians claimed relations with Hezbollah were necessary to maintain relations with Lebanon, where the party leads the government. A Foreign Ministry official had called it a “relevant factor in Lebanese society and part of the complex political landscape in the country.” But with the Beirut government in default on its debts and facing revolution in the streets, allowing terrorist cells to operate in Germany seems unduly sympathetic.

But Hezbollah is a subsidiary of Iran, and through a different prism, Germany’s decision may be the reordering of its relationship with Tehran under the stresses of U.S.-led sanctions, plus the Russia-Saudi oil price war, the Wuhan virus, and the not-often-mentioned rebellion that has been going on in the Islamic Republic since late 2017. In other words, through the prism of money and a distinct unconcern for the people who suffer under tyrannical rule.

The 2015 “Iran deal” made Germany Iran’s primary European trading partner and primary political defender. In 2016, according to the German government, Germany sold Iran 2.9 billion euros worth of machinery and equipment, cars, chemicals, pharmaceuticals, and medical products. Iran sold Germany 300 million euros worth of dried fruits, pistachios, rugs, and industrial raw materials. “Machinery and equipment” for fruit. Sounds safe.

Germany’s Partial Ban of Hezbollah: A Half-Measure by Soeren Kern

The ban is in fact a compromise measure between German lawmakers who want to take a harder line against Iran and those who do not. As a result, the ban falls far short of a complete prohibition on Hezbollah and appears aimed at providing the German government with political cover that allows Germany to claim that it has banned the group even if it has not.

According to the German Parliament, the Bundestag, a complete ban of Hezbollah is impossible because the group’s structures in Germany are “not currently ascertainable.”

It is utterly implausible that Germany, one of the wealthiest and most technologically advanced countries in Europe, is unable to ascertain the organizational structure of Hezbollah within its own borders. More plausible is that Germany wants to project a public appearance of cracking down on Hezbollah while maintaining direct access to its leadership.

“Your resolution has two central weaknesses. The first weakness is that you are asking for only an activity ban (Betätigungsverbot). We want a specific organizational ban (Organisationsverbot). According to the Crime Fighting Law (Verbrechensbekämpfungsgesetz) of 1994, the activity ban is the weaker legal means when compared to an organizational ban. There is no reason in the world why you would fight a terrorist organization with the weaker means and not the stronger.” — Beatrix von Storch, deputy chairwoman of the AfD parliamentary group in the German Bundestag.

“What is needed is the complete ban of Hezbollah. Hezbollah’s propaganda and terror financing in Germany must be stopped. The mosque associations that exist must be disbanded, and most importantly, Hezbollah supporters must be deported. This, by the way, is also demanded by the Bundestag’s Anti-Semitism Resolution, which expressly calls for the deportation of supporters of anti-Semitism. If this does not apply to supporters of Hezbollah, which wants to send Jews to the gas chambers, and wants to destroy Israel, then to whom could it apply?” — Beatrix von Storch.

“Today’s completely late action by the federal government is primarily a symbolic gesture. If the government were really serious about annihilating Hezbollah in Germany, it should have established a special commission and provided the security authorities with financial and human resources to identify and dismantle the group nationwide.” — Stefan Schubert, German security expert.

The German government, after years of equivocating, has announced what amounts to a partial ban on the Iran-backed Lebanese terrorist group Hezbollah — Arabic for “The Party of Allah” — in Germany.

Between two parts of the page: data records
- - -
# 1
14
Properties=species:S:1:pos:R:3 method="wB97M-V/def2-TZVPD" orbital_gap_ev=9.459 lumo_energy_ev=0.673 smiles="O=C1NN[C@@H]2C[C@H]2O1" spin_multiplicity=1 homo_ev=-8.79
O -2.8912 -0.5086 0.3913
C -1.7130 -0.3711 -0.0189
N -1.2797 0.9715 -0.3498
N 0.1412 1.4619 0.1885
C 0.5982 0.1714 0.8000
C 1.7496 -0.6747 0.1463
C 0.3999 -0.7844 -0.4312
O -0.8020 -1.3323 -0.1494
H -2.0551 1.5492 -0.2347
H 0.7355 1.6631 -0.7150
H 0.1671 -0.1610 1.6687
H 2.3583 -0.2343 -0.6725
H 2.0724 -1.3208 0.9071
H 0.5190 -0.4301 -1.5304

# 2
118
Properties=species:S:1:pos:R:3 method="wB97M-V/def2-TZVPD" orbital_gap_ev=10.049 lumo_energy_ev=0.611 smiles=COC[C@H](C)N.COC[C@H](C)N.CC(C)O.CC(C)O.CC(C)O.CC(C)O.CC(C)O.CC(C)O.CC(C)O spin_multiplicity=1 homo_ev=-9.44
C -2.3250 0.5650 -2.7359
O -2.2451 -0.7988 -3.0025
C -3.0346 -1.6696 -2.1410
C -2.8041 -3.2202 -2.3201
C -3.6791 -4.0627 -1.2587
N -1.4468 -3.6169 -2.1040
H -3.2685 1.0803 -2.9159
H -1.5070 1.1405 -3.1694
H -2.1241 0.5688 -1.6646
H -2.6462 -1.4793 -1.1404
H -4.0312 -1.2292 -2.1099
H -3.2708 -3.5567 -3.2459
H -4.7379 -3.9640 -1.4984
H -3.6766 -3.5197 -0.3136
H -3.5354 -5.1360 -1.1341
H -1.4076 -3.9499 -1.1513
H -0.9156 -2.7591 -2.1518
C -0.1049 0.9424 3.7834
O -0.5870 0.8815 5.1408
C -1.6714 -0.0798 5.2400
C -2.1739 -0.2084 6.6726
C -2.9220 1.0957 7.1886
N -1.0344 -0.6458 7.5871
H 0.1715 -0.0410 3.4031
H 0.7963 1.5554 3.7724
H -0.8488 1.3321 3.0884
H -2.5897 0.1670 4.7072
H -1.3787 -1.1002 4.9924
H -3.0311 -0.8778 6.7453
H -3.8928 1.2068 6.7056
H -2.3185 1.9995 7.1059
H -3.1828 0.9718 8.2397
H -0.5257 0.1937 7.8250
H -1.4059 -0.9224 8.4847
C 3.0389 3.3417 -5.3527
C 2.6217 1.9094 -5.3036
C 3.5720 1.0914 -4.2884
O 1.3575 1.8894 -4.6293
H 4.1001 3.5619 -5.4689
H 2.6687 3.8704 -4.4744
H 2.6337 3.8317 -6.2380
H 2.5478 1.5418 -6.3270
H 3.5278 1.3887 -3.2407
H 4.6313 1.0593 -4.5434
H 3.1792 0.0767 -4.2241
H 1.0071 1.0317 -4.8806
C -4.4802 3.2821 -0.0726
C -3.5234 4.0511 -0.9155
C -2.1410 3.7308 -0.3784
O -3.6833 3.6292 -2.2403
H -5.4993 3.3680 -0.4498
H -4.5024 3.6390 0.9570
H -4.3382 2.2018 -0.1037
H -3.7844 5.1059 -0.8296
H -1.7673 2.8132 -0.8326
H -2.1838 3.5534 0.6962
H -1.4233 4.4695 -0.7352
H -2.8568 3.4144 -2.6789
C 1.2529 4.0620 2.3929
C 0.2451 4.8219 3.2432
C 0.9140 5.6714 4.2001
O -0.4369 5.7405 2.3877
H 2.0073 4.7776 2.0659
H 0.9250 3.4538 1.5498
H 1.8030 3.4564 3.1131
H -0.4637 4.0688 3.5874
H 1.7345 6.2399 3.7622
H 1.4215 5.1616 5.0191
H 0.1960 6.3608 4.6442
H -1.0801 6.1670 2.9587
C -0.5000 -2.5937 -5.7336
C -0.1279 -1.1337 -5.7597
C -1.3790 -0.3511 -6.2751
O 0.2178 -0.6700 -4.4261
H -1.2918 -2.6658 -4.9880
H 0.2572 -3.2606 -5.3213
H -0.8975 -2.8881 -6.7050
H 0.6176 -1.0854 -6.5534
H -1.3571 0.7122 -6.0367
H -2.3045 -0.7573 -5.8669
H -1.3125 -0.3657 -7.3630
H -0.6224 -0.7391 -3.9669
C 0.0041 0.7952 0.4468
C 0.3609 -0.5908 -0.2277
C 1.8462 -0.7395 -0.4987
O -0.2459 -1.4544 0.7109
H 0.5741 0.8196 1.3756
H -1.0571 0.9679 0.6260
H 0.3589 1.6371 -0.1477
H -0.2095 -0.6396 -1.1553
H 2.3119 0.0944 -1.0239
- - -
End of the data records

The so-called ban — supported by the center-right Christian Democrats and the center-left Social Democrats, the two parties that make up Germany’s ruling coalition, and also by the classical liberal Free Democrats — has been hailed as “important,” “significant,” and “long overdue.”